How do weather delays improve safety when flying?

## These materials data were left in the article by mistake
____________
# 1
Starting from the PBE geometry in Alexandria, the XRD peak list of FeH2W2 was computed for CuKα.
Intensities are scaled so that the largest is 100.

Structure:
a b c (Å): 2.847 2.847 11.893
angles (deg): 90.00 90.00 90.00
Space group I4/mmm (No. 139)
Inequivalent atoms, fractional coordinates:
Fe 0.000 0.000 0.000 (multiplicity 2)
H 0.000 0.500 0.250 (multiplicity 4)
W 0.000 0.000 0.360 (multiplicity 4)

Most intense lines, 2θ from 10° to 90°, by intensity:
2.313 Å, I = 100
2.013 Å, I = 41
2.769 Å, I = 35
2.973 Å, I = 27
1.212 Å, I = 25
1.667 Å, I = 21
1.459 Å, I = 16
1.424 Å, I = 14
1.826 Å, I = 11
1.196 Å, I = 9


# 2
Starting from the PBE geometry in Alexandria, the XRD peak list of Ce2Ga3Au was computed for CuKα.
Intensities are scaled so that the largest is 100.

Structure:
a b c (Å): 4.066 4.406 15.333
angles (deg): 90.00 90.00 90.00
Space group Imm2 (No. 44)
Inequivalent atoms, fractional coordinates:
Ce 0.000 0.000 0.000 (multiplicity 2)
Ce 0.000 0.500 0.259 (multiplicity 2)
Ga 0.000 0.000 0.422 (multiplicity 2)
Ga 0.000 0.500 0.673 (multiplicity 2)
Ga 0.000 0.500 0.835 (multiplicity 2)
Au 0.000 0.000 0.589 (multiplicity 2)

Most intense lines, 2θ from 10° to 90°, by intensity:
2.784 Å, I = 100
2.517 Å, I = 40
3.182 Å, I = 27
2.203 Å, I = 25
2.448 Å, I = 23
2.033 Å, I = 20
1.582 Å, I = 19
1.962 Å, I = 17
1.494 Å, I = 14
1.928 Å, I = 14


Which formula does entry 1 have?
FeH2W2

~~~~~

The following is a simulated PXRD pattern of KSrHfBiO6. It was derived from a crystal structure in the Materials Project, relaxed with GGA-PBE, using Cu Kα (weighted mean of Kα1 and Kα2).
Kinematic intensities with the Lorentz-polarization factor, no thermal factor.

Top 12 peaks for 2θ = 10–90°, by angle:
4.184 Å, rel. 42, (2 0 0)
2.958 Å, rel. 100, (2 2 0)
2.416 Å, rel. 4, (2 2 2)
2.092 Å, rel. 30, (4 0 0)
1.871 Å, rel. 20, (4 2 0)
1.708 Å, rel. 41, (4 2 2)
1.479 Å, rel. 19, (4 4 0)
1.395 Å, rel. 10, (6 0 0)
1.323 Å, rel. 18, (6 2 0)
1.208 Å, rel. 6, (4 4 4)
1.160 Å, rel. 4, (6 4 0)
1.118 Å, rel. 22, (6 4 2)

Cell and atoms:
abc: 8.3677 8.3677 8.3677
angles: 90.00 90.00 90.00
Space group F-43m (No. 216)
Symmetry-distinct sites (fractional):
1 K 0.0000 0.0000 0.0000 x4
2 Sr 0.0000 0.0000 0.5000 x4
3 Hf 0.2500 0.2500 0.7500 x4
4 Bi 0.2500 0.2500 0.2500 x4
5 O 0.0029 0.2500 0.7500 x24
____________

Weather delays can be extremely frustrating when you are trying to get somewhere.  Likewise, passengers with a fear of flying may feel a bit anxious about traveling to an airport or region that is experiencing storms. Fortunately, there is nothing to worry about, as all modern airliners can operate safely in pretty much any kind of weather. Regardless, flights are still routed around weather, mainly for passenger comfort. So, that being said, how in the world can a delay caused by weather possibly be a good thing?

In short, the delay is increasing the safety of your flight by reducing the chances that you will have to enter a holding pattern or be diverted to an airport other than your destination.  Many years ago, if there was a storm near a region or airport, Air Traffic Control (ATC) and the airlines made little effort to restrict the number of flights headed to that particular airport.  All the planes flying to that city simply took off as scheduled and flew in that direction. As the planes neared that airport or surrounding areas, the “airways” became flooded with more planes and traffic than they could handle. This meant that some of the planes were forced to hold until the airways had adequate spacing between planes. Of course, all airline flights are required by law to have a certain minimum amount of extra fuel onboard for these situations, which is still true today.  Unfortunately, many times there were simply too many planes heading to an airport with no way to accommodate all of them. So, after holding for several minutes or several hours, some planes were then forced to divert to alternate airports. The pilots would do this to get additional fuel or wait for the airways to open back up after the storm had passed.  This meant that a bad storm could delay your flight for many hours or maybe even an entire day. Worse yet, your flight could end up diverted to another airport and subsequently cancelled altogether.

# The page is interrupted by calculated crystals
Record 1
For Li3Mn4P6O24, a cell relaxed with GGA+U gives the theoretical XRD peak list in this record (CuKα).

Largest 10 diffraction maxima, sorted by position, 2θ = 10–80°:
index, two_theta, I (rel.)
1 1 1, 14.6, 54
1 1 -1, 20.5, 48
1 -1 1, 20.8, 44
1 -1 0, 24.1, 34
2 1 0, 24.3, 37
1 -1 2, 24.5, 100
2 0 0, 29.2, 36
2 2 2, 29.5, 34
0 2 -2, 29.6, 34
1 2 -2, 33.0, 34

Atomic structure:
```
data_Li3Mn4P6O24
_space_group_name_H-M_alt 'P 1'
_space_group_IT_number 1
_space_group_name_Hall 'P 1'
_cell_length_a 8.473
_cell_length_b 8.511
_cell_length_c 8.604
_cell_angle_alpha 89.72
_cell_angle_beta 60.90
_cell_angle_gamma 60.39
loop_
_atom_site_label
_atom_site_type_symbol
_atom_site_fract_x
_atom_site_fract_y
_atom_site_fract_z
Li1 Li 0.000 0.000 0.000
Li2 Li 0.172 0.338 0.497
Li3 Li 0.608 0.862 0.785
Mn1 Mn 0.474 0.326 0.020
Mn2 Mn 0.485 0.815 0.513
Mn3 Mn 0.906 0.119 0.379
Mn4 Mn 0.915 0.613 0.881
P1 P 0.393 0.014 0.202
P2 P 0.420 0.212 0.696
P3 P 0.689 0.441 0.202
P4 P 0.703 0.490 0.689
P5 P 0.975 0.933 0.702
P6 P 0.983 0.717 0.191
O1 O 0.014 0.697 0.998
O2 O 0.168 0.906 0.710
O3 O 0.183 0.559 0.186
O4 O 0.206 0.025 0.200
O5 O 0.224 0.357 0.693
O6 O 0.368 0.210 0.215
O7 O 0.384 0.982 0.383
O8 O 0.387 0.240 0.891
O9 O 0.466 0.010 0.660
O10 O 0.528 0.596 0.396
O11 O 0.540 0.431 0.158
O12 O 0.545 0.452 0.841
O13 O 0.553 0.690 0.684
O14 O 0.596 0.859 0.020
O15 O 0.609 0.220 0.545
O16 O 0.772 0.097 0.890
O17 O 0.791 0.711 0.345
O18 O 0.842 0.241 0.206
O19 O 0.846 0.482 0.054
O20 O 0.855 0.505 0.728
O21 O 0.869 0.336 0.495
O22 O 0.950 0.912 0.230
O23 O 0.968 0.755 0.701
O24 O 0.990 0.975 0.525
```

***

Record 2
For HoCr2O6, a cell relaxed with GGA+U gives the theoretical XRD peak list in this record (CuKα).

Largest 10 diffraction maxima, sorted by position, 2θ = 10–80°:
index, two_theta, I (rel.)
1 1 0, 20.2, 71
1 0 1, 21.1, 100
1 1 1, 26.7, 27
2 1 1, 34.0, 93
0 0 2, 35.1, 41
0 2 1, 37.4, 26
1 1 2, 40.8, 25
0 2 2, 48.8, 18
4 0 0, 49.0, 19
2 1 3, 62.2, 27

Atomic structure:
```
data_HoCr2O6
_space_group_name_H-M_alt 'P m n 21'
_space_group_IT_number 31
_space_group_name_Hall 'P 2ac -2'
_cell_length_a 7.441
_cell_length_b 5.453
_cell_length_c 5.118
_cell_angle_alpha 90.00
_cell_angle_beta 90.00
_cell_angle_gamma 90.00
loop_
_atom_site_label
_atom_site_type_symbol
_atom_site_fract_x
_atom_site_fract_y
_atom_site_fract_z
Ho1 Ho 0.000 0.162 0.000
Cr1 Cr 0.244 0.721 0.007
O1 O 0.000 0.278 0.578
O2 O 0.000 0.760 0.898
O3 O 0.195 0.439 0.178
O4 O 0.212 0.956 0.262
```

***

Record 3
For Na5Co2PC4O16, a cell relaxed with GGA+U gives the theoretical XRD peak list in this record (CuKα).

Largest 10 diffraction maxima, sorted by position, 2θ = 10–80°:
index, two_theta, I (rel.)
1 1 1, 10.9, 86
0 2 2, 17.8, 29
1 1 3, 20.9, 65
1 3 1, 21.1, 100
1 1 5, 32.9, 42
1 5 1, 33.3, 99
0 4 4, 36.1, 67
4 4 0, 36.4, 31
1 7 1, 46.4, 29
2 6 6, 57.1, 36

Atomic structure:
```
data_Na5Co2PC4O16
_space_group_name_H-M_alt 'F d d 2'
_space_group_IT_number 43

Today, the current policy makes much more sense as it holds a given flight on the ground until it is essentially assured an arrival and landing slot at its destination. While this tactic still causes a delay, it is usually much shorter than if every plane was trying to fly to an airport at the same time. Holding an aircraft at the gate provides an additional comfort benefit to passengers. Instead of being relegated to sitting on the plane for hours, passengers can remain in the terminal with better access to restaurants, restrooms, and other amenities. More importantly, this means that when you do takeoff, the airspace around your destination will have sufficient room for your flight. This reduces or eliminates the time that your flight may spend in a holding pattern and all but guarantees that you will land at your destination instead of diverting.

[Unrelated to this entry: materials data]
~~~
LiMgInPb3: theoretical X-ray powder pattern (Cu Ka), based on a crystal structure in Alexandria, relaxed with PBE.
Neutral-atom scattering factors, no anomalous dispersion.

Most intense lines, 15 to 90 degrees two-theta, by intensity:
2θ = 32.19°, 2.781 Å, I = 100
2θ = 36.85°, 2.439 Å, I = 68
2θ = 33.75°, 2.656 Å, I = 46
2θ = 33.01°, 2.714 Å, I = 42
2θ = 40.33°, 2.236 Å, I = 25
2θ = 26.81°, 3.326 Å, I = 24
2θ = 55.28°, 1.662 Å, I = 21
2θ = 56.26°, 1.635 Å, I = 19

Structure:
```
LiMgInPb3
1.0
9.4852 0.0000 0.0000
0.0000 3.5507 0.0000
-3.3523 0.0000 9.4968
Li Mg In Pb
2 2 2 6
direct
0.1284 0.2500 0.2882
0.8716 0.7500 0.7118
0.3718 0.7500 0.8647
0.6282 0.2500 0.1353
0.1056 0.2500 0.6180
0.8944 0.7500 0.3820
0.1164 0.2500 0.9339
0.3547 0.7500 0.5315
0.3695 0.7500 0.1943
0.6305 0.2500 0.8057
0.6453 0.2500 0.4685
0.8836 0.7500 0.0661
```


Li2PrMg2In2: theoretical X-ray powder pattern (Cu Ka), based on a crystal structure in Alexandria, relaxed with PBE.
Neutral-atom scattering factors, no anomalous dispersion.

Most intense lines, 15 to 90 degrees two-theta, by intensity:
2θ = 25.69°, 3.467 Å, I = 100
2θ = 37.35°, 2.408 Å, I = 47
2θ = 33.02°, 2.713 Å, I = 42
2θ = 35.95°, 2.498 Å, I = 42
2θ = 21.63°, 4.109 Å, I = 36
2θ = 37.48°, 2.400 Å, I = 23
2θ = 35.81°, 2.507 Å, I = 21
2θ = 52.81°, 1.734 Å, I = 20

Structure:
```
Li2PrMg2In2
1.0
4.1748 -2.3998 0.0000
4.1748 2.3998 0.0000
-2.7529 0.0000 8.3396
Li Pr Mg In
2 1 2 2
direct
0.0713 0.0713 0.2132
0.9287 0.9287 0.7868
0.5000 0.5000 0.5000
0.3642 0.3642 0.0918
0.6358 0.6358 0.9082
0.2414 0.2414 0.7250
0.7586 0.7586 0.2750
```


SrLiMg2In4: theoretical X-ray powder pattern (Cu Ka), based on a crystal structure in Alexandria, relaxed with PBE.
Neutral-atom scattering factors, no anomalous dispersion.

Most intense lines, 15 to 90 degrees two-theta, by intensity:
2θ = 35.82°, 2.507 Å, I = 100
2θ = 32.69°, 2.739 Å, I = 83
2θ = 24.06°, 3.698 Å, I = 64
2θ = 30.24°, 2.956 Å, I = 33
2θ = 49.28°, 1.849 Å, I = 26
2θ = 62.41°, 1.488 Å, I = 25
2θ = 61.61°, 1.505 Å, I = 23
2θ = 25.88°, 3.442 Å, I = 20

Structure:
```
SrLiMg2In4
1.0
2.5066 1.4472 9.4144
-2.5066 1.4472 9.4144
0.0000 -2.8944 9.4144
Sr Li Mg In
1 1 2 4
direct
0.0000 0.0000 0.0000
0.5000 0.5000 0.5000
0.2426 0.2426 0.2426
0.7574 0.7574 0.7574
0.1285 0.1285 0.1285
0.3953 0.3953 0.3953
0.6047 0.6047 0.6047
0.8715 0.8715 0.8715
```


Sr2Li2MgIn5: theoretical X-ray powder pattern (Cu Ka), based on a crystal structure in Alexandria, relaxed with PBE.
Neutral-atom scattering factors, no anomalous dispersion.

Most intense lines, 15 to 90 degrees two-theta, by intensity:
2θ = 33.24°, 2.695 Å, I = 100
2θ = 34.02°, 2.635 Å, I = 78
2θ = 27.54°, 3.239 Å, I = 59
2θ = 20.44°, 4.345 Å, I = 47
2θ = 36.28°, 2.476 Å, I = 41
2θ = 54.76°, 1.676 Å, I = 39
2θ = 31.07°, 2.878 Å, I = 39
2θ = 41.57°, 2.172 Å, I = 34

Structure:
```
Sr2Li2MgIn5
1.0
10.8662 0.0000 0.0000
0.0000 10.8662 0.0000
0.0000 0.0000 4.3446
Sr Li Mg In
4 4 2 10
direct
0.1829 0.3171 0.0000
~~~

Ultimately, the current weather delay system reduces uncertainty, increases safety, and shortens the overall delay.  This way, you spend more of the delay sitting on the ground with better access to amenities, while simultaneously improving your chances for getting where you want to go. I think most people would agree that this sounds much better than being delayed in a holding pattern at 30,000 feet and hoping that your flight will make it to your destination without being diverted. As always, whether the delay is due to weather or some other factor, the primary emphasis will always be safety. Airlines, pilots, and everyone else involved with the air travel process realize that your time is valuable, but they also recognize that your safety and your life are worth more than anything else. The policies and procedures governing air travel reflect that belief.